Today is a historic day in Los Angeles city history. By a vote of 12-2, the Los Angeles City Council passed a resolution calling for the immediate return of our troops from Iraq. Originally drafted and spearheaded by the great Councilman Rosendahl, it was great to see the city put on record for this.
Nearly 100 citizens filled the city council in support of the resolution this morning. Of those 100 citizens, roughly one dozen of them (including myself) spoke in 1:30 minute increments about the importance of passing the resolution. There was only one dissenting voice in the audience in opposition to the resolution.
Passing the resolution was important for Los Angeles and the country because of the impact the war is having here at home. California has lost nearly $60 billion in tax revenue because of the war, with Los Angeles losing approximately $5 billion in revenue. In a stroke of perfect timing, the discussion prior the ours was about 17 bridges that are rated structurally deficient in the city of Los Angeles.
Thank you to all of the citizens that took time out of their busy day to attend this and support the resolution. And I’d like to extend a special thank you to all councilmembers who voted their conscience and supported the troops today by calling for their safe and expedient return.
Below is text from the resolution as passed:
CONSIDERATION OF RESOLUTION (ROSENDAHL – PARKS – WESSON – ET AL) relative to the withdrawal of United States military personnel from Iraq.
Recommendation for Council action, SUBJECT TO THE CONCURRENCE OF THE MAYOR:
RESOLVE that the City of Los Angeles include in its 2007-08 Federal Legislative Program the following positions:
a. On behalf of the citizens of the City of Los Angeles, the City URGE the President of the United
States to immediately commence a rapid, humane, and complete withdrawal of United States
military personnel, contractors supporting the military effort, and military bases from Iraq.
b. URGE the United States Congress to appropriate medical, psychological, financial, and educational assistance for veterans.
c. URGE redirection of the financial resources used to prosecute the war in order to address
neglected domestic needs, including health, education, mass transit and infrastructure, and
[Attached: data records]
'''
[1]
Density functional theory data (ωB97M-V/def2-TZVPD) for a molecular structure, C29H18F5N2O3S4W.

Structure (XYZ):
```
62
C29H18F5N2O3S4W | OMol25 | ωB97M-V/def2-TZVPD
W 1.07 -1.09 -0.48
C -3.47 -1.39 -0.06
C -2.11 -1.39 -0.68
N -1.09 -1.06 0.06
N -1.43 -0.71 1.37
C -0.56 0.00 1.97
S 0.95 0.53 1.22
S -0.79 0.30 3.68
C -0.19 2.01 3.84
C -1.15 3.01 3.27
C -2.29 3.37 3.99
C -3.20 4.27 3.46
C -2.99 4.82 2.21
C -1.86 4.47 1.49
C -0.94 3.57 2.01
C -1.95 -1.76 -2.09
C -3.06 -1.76 -2.95
C -2.94 -2.12 -4.28
C -1.71 -2.52 -4.79
C -0.59 -2.53 -3.97
C -0.72 -2.13 -2.65
O 0.40 -2.10 -1.89
H -3.77 -0.37 0.19
H -3.43 -1.93 0.88
H -4.21 -1.84 -0.71
H 0.81 2.10 3.42
H -0.10 2.13 4.92
H -2.46 2.94 4.97
H -4.08 4.54 4.04
H -3.70 5.52 1.80
H -1.69 4.91 0.51
H -0.05 3.31 1.45
H -4.02 -1.44 -2.59
H -3.81 -2.09 -4.92
H -1.62 -2.81 -5.82
H 0.38 -2.81 -4.33
O 3.99 -2.36 -2.11
C 3.51 -2.48 -1.03
O 2.90 -1.33 -0.42
C 3.47 -3.65 -0.14
C 4.53 -4.54 -0.26
C 4.61 -5.65 0.56
C 3.62 -5.87 1.50
C 2.54 -5.00 1.61
C 2.46 -3.87 0.80
S 0.95 -2.95 1.01
H 5.29 -4.35 -1.00
H 5.44 -6.33 0.47
H 3.67 -6.73 2.16
H 1.76 -5.19 2.33
F 1.53 6.14 -0.42
C 1.34 4.88 -0.78
C 0.21 4.52 -1.49
F -0.68 5.45 -1.83
C 0.01 3.20 -1.85
F -1.09 2.89 -2.53
C 0.94 2.22 -1.53
S 0.69 0.58 -2.12
C 2.07 2.60 -0.82
F 2.99 1.69 -0.49
C 2.28 3.91 -0.43
F 3.36 4.25 0.26
```

Properties
- energy relative to the best compared isomer or geometry (same formula, charge and spin) (kcal/mol) = 12.6
- total energy (eV) = -98236.5776
- LUMO level (eV) = -5.5057
- charge = +1
- frontier orbital gap (eV) = 5.859
- E_HOMO (eV) = -11.36

---

[2]
Density functional theory data (ωB97M-V/def2-TZVPD) for a molecular structure, C29H18F5N3O2S3Sc.

Structure (XYZ):
```
61
C29H18F5N3O2S3Sc | OMol25 | ωB97M-V/def2-TZVPD
Sc -0.33 -1.03 0.03
O -2.04 -0.70 1.05
C -2.55 0.45 1.36
C -3.95 0.64 1.28
C -4.54 1.83 1.63
C -3.79 2.90 2.10
C -2.43 2.75 2.21
C -1.78 1.56 1.83
C -0.35 1.50 1.99
N 0.41 0.64 1.43
C 1.81 0.53 1.77
C 1.98 -0.82 2.46
N 1.06 -1.78 1.85
C 0.76 -2.80 2.58
C -0.13 -3.88 2.25
C -0.39 -4.85 3.22
C -1.22 -5.92 2.96
C -1.79 -6.03 1.68
C -1.55 -5.10 0.71
C -0.72 -3.98 0.96
O -0.47 -3.10 0.06
H -4.53 -0.19 0.90
H -5.62 1.93 1.53
H -4.26 3.84 2.38
H -1.81 3.57 2.57
H 0.10 2.26 2.64
H 2.15 1.35 2.42
H 2.39 0.55 0.85
H 1.77 -0.73 3.53
H 3.02 -1.17 2.36
H 1.20 -2.87 3.58
H 0.07 -4.75 4.20
H -1.42 -6.67 3.72
H -2.44 -6.87 1.46
H -1.99 -5.18 -0.28
F 2.68 -1.08 -5.95
C 2.01 -0.72 -4.83
C 2.52 -1.37 -3.63
F 3.05 -2.59 -3.82
C 2.36 -0.87 -2.42
F 2.65 -1.57 -1.31
C 0.16 0.37 -2.56
S -0.88 1.26 -1.36
C 0.12 0.89 -4.00
F -1.15 0.83 -4.51
C 1.02 0.16 -4.98
F 0.81 0.61 -6.23
S -0.42 -1.37 -2.47
C 1.64 0.41 -2.19
N 2.33 1.35 -1.68
C 1.82 2.65 -1.55
C 2.20 3.36 -0.42
C 1.75 4.65 -0.20
C 0.95 5.27 -1.15
C 0.61 4.59 -2.31
C 1.04 3.28 -2.53
S 0.67 2.66 -4.14
H 2.85 2.87 0.29
H 2.03 5.17 0.71
H 0.59 6.27 -0.99
H -0.02 5.06 -3.05
```

Properties
- total energy (eV) = -105728.8696
- LUMO level (eV) = 2.3467
- charge = -1
'''
homeland security.
d. RECOGNIZE that the stability of Iraq is crucial to the security of the citizens of Los Angeles andto all Americans, URGE the United States government to provide the people of Iraq with nonmilitary material aid to support the security of Iraq’s citizens and the rebuilding of Iraq.